
"But I'm Young Enough"

As I scroll through my social media feed this week I am bombarded by first day of school pictures.  Captions like “Where did the time go?” and “Can you believe my first born is in ---- grade!?”  I too have 4 kiddos going to school.  My youngest is entering her first full time year.  And I too find myself saying, “Seems like just yesterday…”


When I was pregnant with my twins my son just turned 5 years old.  Carrying twins for 39 weeks, both over 8 pounds at birth is a story for another day.  But that was a year of a lot of lasts for my son.  The last year I could carry him - being that pregnant, I couldn’t carry anything.  It was the last year he could take a bath - I had him shower so I could reach and help him clean up without bending over and risking a remake of the ‘Help I’ve Fallen and Can’t Get Up’ commercial.  It was my son’s last year of being an only child with all the adult attention.  It was the last year I looked at him like a little kid.  When his sisters were born he became the “big brother,”  “the example,” and the one I expected more from.


When I was giving my youngest her bath this morning she asked if she could lie down while I washed her.  I told her no and she said “but mom, I’m young enough.”  I am not really sure what her reasoning was, but it got me thinking.  Kids always wait to be old enough to do things.  They wait to be old enough to go to school, old enough have recess with the big kids, old enough to not be the youngest middle-schooler, old enough to drive, old enough to move out… does it ever end?  


As an adult we constantly wish quite the opposite, that we could turn back time.  Maybe reverse the clock on our looks, our health, or our even decisions (shoulder pads anyone?).  But maybe we should take my daughter’s advice.  What are we young enough to do?  Don’t write yourself off, take control and create your own options.  


When you talk to your children, let them know it is a privilege to be young.  Tell them all the things they are young enough to do -

**Between two parts of the text: calculated molecules**
********
Entry 1:
{"formula": "C8H12OS", "method": "ωB97M-V/def2-TZVPD", "species": ["C", "C", "C", "C", "C", "C", "C", "C", "O", "S", "H", "H", "H", "H", "H", "H", "H", "H", "H", "H", "H", "H"], "coordinates": [[-0.935045, 0.178430, -0.304345], [0.253474, 0.625347, -0.141999], [-2.136060, -0.543028, 0.036306], [1.424626, 1.223099, -0.353464], [-2.568396, -0.681515, 1.482682], [-2.332873, -1.877325, -0.724842], [2.096613, 0.986107, -1.677974], [2.092203, 1.860641, 0.843239], [-3.515727, 1.756612, 0.141913], [-2.959173, 0.894453, -0.880541], [-1.938179, -1.192540, 2.071575], [-2.705637, 0.265797, 2.021194], [-3.437278, -1.202918, 1.370061], [-3.380186, -2.106685, -0.616660], [-2.068322, -1.897879, -1.804223], [-1.613094, -2.568463, -0.219853], [2.591372, 0.062029, -1.494266], [1.471465, 0.830766, -2.579359], [2.804770, 1.775944, -2.092217], [2.320823, 2.903689, 0.748532], [1.285365, 1.662486, 1.538058], [3.029983, 1.325085, 1.050382]], "forces_ev_per_angstrom": [[-0.55, 0.61, 0.76], [-0.90, 0.30, -1.28], [0.90, -0.67, -1.40], [-0.46, 0.16, -0.47], [-0.23, 3.50, -1.84], [1.27, 0.38, 0.26], [0.48, 1.15, -1.35], [-0.49, -1.10, -0.81], [-0.94, 1.58, 1.05], [2.15, -1.62, -0.05], [2.67, -2.24, 1.69], [-0.30, -0.04, -0.62], [-2.74, -1.26, 0.50], [-0.26, -0.72, 0.08], [-0.14, 0.49, 0.69], [-0.97, 0.00, -0.39], [1.10, -0.77, -0.42], [-0.41, -0.09, 0.97], [-0.52, -0.84, 1.32], [-0.03, 0.62, -0.19], [0.69, 0.48, 1.19], [-0.33, 0.07, 0.31]], "nbo_charge": [0.024, -0.073, -0.274, 0.018, -0.600, -0.609, -0.650, -0.629, -0.932, 1.047, 0.215, 0.243, 0.209, 0.214, 0.223, 0.217, 0.226, 0.231, 0.224, 0.223, 0.231, 0.219], "de_lowest_kj_mol": 404.9, "homo_lumo_gap_ev": [7.24, 6.97], "lumo_energy_ev": [-0.25, -0.34]}

=====

Entry 2:
********

  • Take bubble baths and make bubble mustaches

  • Fit underneath things, dominate hide and seek

  • Dance in the rain puddles

  • Pee a little in your underwear and get it shrugged off

  • Wear mismatched clothes and call it individuality

# Molecular data, as found in the file
+++
ORCA calculation (the ωB97M-V functional and the def2-TZVPD basis) on the molecule C5H9NS.

Geometry as ORCA input:
```
! wB97M-V def2-TZVPD RIJCOSX def2/J DEFGRID3
* xyz 0 1
C 0.5735 1.9704 0.5533
C 0.1109 -0.3620 -0.8007
C -0.9026 -0.9541 0.1985
C 1.4847 -0.7650 -0.5165
C 2.6196 -1.1658 -0.3116
H 0.3875 3.0119 0.6561
H 1.6535 1.7953 0.6586
H -0.0107 1.5890 1.4514
H -0.2424 -0.7397 -1.8305
H -0.6800 -1.9991 0.2492
H -0.7538 -0.5155 1.2411
H -2.9614 -1.3832 0.1351
H -2.5691 0.1607 -0.2034
H 3.6460 -1.3063 -0.1414
N -2.2251 -0.7829 -0.3494
S -0.1306 1.4461 -0.9899
*
```

Values from the calculation:
E	-17653.98075	eV
LUMO	0.864	eV
highest occupied orbital energy	-8.80	eV
frontier orbital gap	9.67	eV



ORCA calculation (the ωB97M-V functional and the def2-TZVPD basis) on a structure of composition C4H9N3O.

Geometry as ORCA input:
```
! wB97M-V def2-TZVPD RIJCOSX def2/J DEFGRID3
* xyz 0 1
C -1.1158 -0.3973 -1.3092
C 1.8837 0.3699 -1.4259
C 1.1529 0.1618 -0.1519
C -0.2924 -0.3215 1.5294
N -1.1685 0.7304 1.6294
O -0.1396 -0.6795 -0.3013
N 1.2672 0.4488 1.0381
N -0.2848 -1.4170 2.1509
H -0.7610 1.6350 1.4458
H -1.9496 0.5738 2.2493
H -0.7186 -1.3324 3.0664
H -1.3652 0.6665 -1.3251
H -0.7168 -0.7271 -2.2701
H -2.0130 -0.9738 -1.0823
H 1.3770 1.1087 -2.0514
H 1.9517 -0.5610 -1.9918
H 2.8928 0.7147 -1.2004
*
```

Values from the calculation:
E	-10808.42294	eV
LUMO	0.820	eV
highest occupied orbital energy	-8.48	eV
frontier orbital gap	9.30	eV



ORCA calculation (the ωB97M-V functional and the def2-TZVPD basis) on a cluster of 2 separate species, C5H10BF3O7S in total.

Geometry as ORCA input:
```
! wB97M-V def2-TZVPD RIJCOSX def2/J DEFGRID3
* xyz 0 1
C 1.4856 -1.1063 1.9279
O 0.2923 -1.5263 1.2723
B -0.1488 -2.7902 1.4045
O 0.5629 -3.8211 1.9657
O -1.3927 -3.1084 0.7993
S -2.8264 -2.8331 1.4104
O -2.9005 -3.4226 2.7307
O -2.5806 -1.2247 1.6343
H 1.3939 -1.2056 3.0094
H 2.3372 -1.6867 1.5789
H 1.6292 -0.0598 1.6804
H 0.6922 -3.7965 2.9177
H -3.3014 -0.9360 2.2164
C -0.8972 1.2313 -0.2401
C -0.5517 0.8549 -1.6584
O -0.0177 1.9904 -2.3888
C 1.2568 2.2583 -2.1832
O 2.0258 1.6793 -1.4740
C 1.6852 3.4650 -3.0566
F 0.7903 4.4562 -2.9994
F 1.7964 3.0744 -4.3354
F 2.8621 3.9335 -2.6549
H -1.5965 2.0682 -0.2189
H -1.3469 0.3812 0.2687
H -0.0011 1.5158 0.3111
H -1.4289 0.5595 -2.2285
H 0.1805 0.0491 -1.6894
*
```

Values from the calculation:
E	-39346.94842	eV
LUMO	0.316	eV
highest occupied orbital energy	-10.56	eV
frontier orbital gap	10.87	eV



ORCA calculation (the ωB97M-V functional and the def2-TZVPD basis) on the ion C4H3F3N3 with charge +1.

Geometry as ORCA input:
```
! wB97M-V def2-TZVPD RIJCOSX def2/J DEFGRID3
* xyz 1 1
C -0.8589 1.2802 0.0205
C 0.8479 -0.3776 0.0582
C -1.9873 0.3712 -0.0711
C 2.2499 -0.7726 -0.0301
N 0.3252 0.8948 0.0005
N -0.2353 -1.1029 0.2898
N -1.3055 -0.7822 0.4858
F 2.3407 -1.8747 -0.7313
F 2.9548 0.2200 -0.5726
F 2.6597 -0.8651 1.2511
H -2.2397 0.2832 -1.1481
H -1.9201 2.0201 -0.0798
H -2.8312 0.7056 0.5270
*
```
+++

  • Scribble on paper and have that masterpiece displayed on the fridge for months

  • Ride in a shopping cart, seriously, wouldn’t that be great

  • Say what is on your mind and have people call it adorbs

  • Play video games until starvation wakes you from your zombie-like state

  • Nap at any point in the day, perhaps in your bowl of spaghetti?

  • Put lipstick anywhere but your lips


Then realize, you are young enough to do those things too.